Useful sources of information, advice and support

_Calculated crystals, kept here for reference_
-- begin --
Record 1
A plane-wave DFT calculation with GGA-PBEsol was carried out for an optimized crystal structure of AlCu.

Output
The formation energy is -0.16 eV/atom.

abc: 4.8375 4.8375 6.2542
angles: 104.57 104.57 33.75
Fractional positions:
Al: 0.0000 0.0000 0.0000
Al: 0.0528 0.0528 0.6026
Al: 0.3538 0.3538 0.2581
Cu: 0.3306 0.3306 0.6588
Cu: 0.6446 0.6446 0.3276
Cu: 0.7163 0.7163 0.9289

***

Record 2
A plane-wave DFT calculation with GGA-PBEsol was carried out for an optimized crystal structure of PbWI3.

Output
As for the energy relative to the elements, uncorrected: 1.3496 eV/atom.

abc: 6.0461 6.0461 6.0461
angles: 90.00 90.00 90.00
Fractional positions:
Pb: 0.0000 0.0000 0.0000
W: 0.5000 0.5000 0.5000
I: 0.0000 0.0000 0.5000
I: 0.0000 0.5000 0.0000
I: 0.5000 0.0000 0.0000

***

no.,volume (Å³/cell),M_tot (μB/cell)
1,78.45,0.00
2,221.01,5.11

=====

Entry 1:
# PBE YMn2Hg, optimized geometry
# Energy of formation from the pure elements ... 0.25 eV per atom
# Theoretical density ... 8.094 g/cm³
# Density of states at the Fermi level ... 23.38 states/eV/cell
data_YMn2Hg
_cell_length_a 6.895
_cell_length_b 6.895
_cell_length_c 6.895
_cell_angle_alpha 90.00
_cell_angle_beta 90.00
_cell_angle_gamma 90.00
_space_group_name_H-M_alt 'F -4 3 m'
_space_group_IT_number 216
_space_group_name_Hall 'F -4 2 3'
loop_
_atom_site_label
_atom_site_fract_x
_atom_site_fract_y
_atom_site_fract_z
_atom_site_occupancy
Y1 0.000 0.000 0.000 1
Mn1 0.000 0.000 0.500 1
Mn2 0.250 0.250 0.750 1
Hg1 0.250 0.250 0.250 1

=====

Entry 2:
# PBE TbPm2SmP4, optimized geometry
# Energy of formation from the pure elements ... -1.58 eV per atom
# Theoretical density ... 6.159 g/cm³
# Density of states at the Fermi level ... 0.68 states/eV/cell
data_TbPm2SmP4
_cell_length_a 7.100
_cell_length_b 4.102
_cell_length_c 7.100
_cell_angle_alpha 90.00
_cell_angle_beta 109.46
_cell_angle_gamma 90.00
_space_group_name_H-M_alt 'P 1 2/m 1'
_space_group_IT_number 10
loop_
_space_group_symop_operation_xyz
'x,y,z'
'-x,-y,-z'
'-x,y,-z'
'x,-y,z'
loop_
_atom_site_label
_atom_site_fract_x
_atom_site_fract_y
_atom_site_fract_z
_atom_site_occupancy
Tb1 0.000 0.000 0.000 1
Pm1 0.500 0.000 0.500 1
Pm2 0.500 0.500 0.000 1
Sm1 0.000 0.500 0.500 1
P1 0.245 0.500 0.246 1
P2 0.247 0.000 0.751 1
-- stop --

Talk to Frank
Frank is the government’s drug information site for young people, run by Public Health England. It includes an A-Z of substances and their risks and effects, videos, case studies, links to local support services and a live webchat for confidential advice.
Does a child know more than you?
The Drinkaware Trust is an independent UK-wide alcohol education charity, which works in partnership with others to help reduce alcohol-related harm by helping people make better choices about their drinking. Their parent/carer area includes topics such as the risks of under-age drinking, how to talk to your child about alcohol, and teenage drinking.

Know the Score
Know The Score is similar to Frank but run by the Scottish government. It includes downloadable booklets for parents about drugs and alcohol.

Drugfam offers support to families, friends and carers struggling to cope with loved ones’ addiction to drugs or alcohol. They have information and support on their website and also a helpline which is open 7 days a week 9am – 9pm (0300 888 3853) parents’ page has a range of advice for parents and carers about how to tackle conversations with kids about drugs, useful links and a downloadable version of their toolkit. is a social enterprise set up to provide accessible and comprehensive information to help reduce the short and long term harms of drugs.

Alcohol Education Trust

Teen Tips
The Teen Tips online and onsite courses equip parents with the knowledge, confidence and skills to support young people as they navigate everything from relationships, pornography, alcohol, drugs and social networking to exam stress, perfectionism, body image, gaming and gambling.

YoungMinds is the UK’s leading charity championing the wellbeing and mental health of young people. Parents and carers can find advice and support to help their child through difficult times through YoungMinds’ online ‘parents’ survival guide’ and their free parents’ helpline, offering confidential, expert advice.

Adfam is a national organisation offering support to families of those affected by drug and alcohol use, and brings together local organisations across the UK. Their website includes information and advice and how to find a local support group.

Bereavement support
Care for the Family Bereaved Parent Support: offers a range of support to bereaved parents including information and advice online, days and weekends for bereaved parents, and a telephone befriending service for parents who have lost a child for any reason, including to drugs and alcohol. The try as far as possible to find a befriender who shares a similar reason for losing their child.

The Compassionate Friends
Offers support online, over the telephone and locally where possible through small support groups and events. They also have a wide range of downloadable leaflets, including ones for different family members, and about practical issues such as inquests.